== To do ==
Quote all of the lines below with every line break kept.

== Contents ==
____________
The following is a quantum chemistry calculation of a 9-piece molecular cluster, C40H100N11O13P3 overall, from OMol25.

Computed properties:
Total energy (a.u.): -4188.70121
HOMO energy (eV): -8.27
Gap between HOMO and LUMO (eV): 8.8
SMILES string: CN(C)P(=O)(N(C)C)N(C)C.CN(C)P(=O)(N(C)C)N(C)C.CN(C)P(=O)(N(C)C)N(C)C.CCOC(C)=O.CCOC(C)=O.CCOC(C)=O.CCOC(C)=O.CN(C)C=O.CN(C)C=O

Structure (XYZ):
```
167
C40H100N11O13P3, DFT wB97M-V/def2-TZVPD
O -13.77 -0.90 20.57
P -13.23 -2.26 20.85
N -13.51 -2.99 22.33
C -12.58 -2.82 23.46
C -14.88 -3.06 22.73
N -11.56 -2.25 20.70
C -10.88 -3.44 20.39
C -11.00 -0.96 21.14
N -13.94 -3.39 19.84
C -14.10 -2.86 18.44
C -13.94 -4.85 20.02
H -11.81 -3.64 23.49
H -13.16 -2.95 24.42
H -12.13 -1.81 23.50
H -15.19 -2.24 23.49
H -15.01 -4.02 23.32
H -15.51 -3.11 21.86
H -10.85 -4.10 21.31
H -11.39 -4.02 19.65
H -9.86 -3.27 19.98
H -10.45 -1.04 22.10
H -10.45 -0.54 20.28
H -11.81 -0.29 21.34
H -13.26 -3.20 17.79
H -15.07 -3.22 18.00
H -14.02 -1.79 18.41
H -13.93 -4.97 21.11
H -13.18 -5.47 19.48
H -14.90 -5.22 19.57
O -14.93 2.78 20.72
P -13.90 3.14 19.70
N -14.23 4.61 18.92
C -15.45 5.37 19.30
C -13.31 5.15 17.89
N -13.97 1.97 18.49
C -13.10 1.90 17.38
C -15.20 1.24 18.42
N -12.33 3.20 20.19
C -11.77 2.01 20.78
C -11.73 4.40 20.71
H -15.27 6.37 19.77
H -16.00 4.74 19.98
H -16.07 5.64 18.40
H -13.70 4.96 16.87
H -12.40 4.60 17.98
H -13.09 6.25 18.05
H -13.63 2.21 16.43
H -12.26 2.57 17.52
H -12.68 0.89 17.25
H -15.08 0.15 18.47
H -15.79 1.63 19.23
H -15.66 1.46 17.46
H -12.34 1.16 20.56
H -10.71 1.79 20.52
H -11.86 2.12 21.89
H -12.19 5.34 20.40
H -10.59 4.48 20.42
H -11.78 4.29 21.78
O -6.07 3.25 24.58
P -7.40 3.34 25.17
N -8.41 4.22 24.21
C -9.81 4.48 24.67
C -8.13 4.53 22.79
N -7.38 3.96 26.74
C -6.72 5.24 26.71
C -8.54 3.95 27.60
N -8.22 1.95 25.40
C -7.61 0.95 26.22
C -8.96 1.34 24.20
H -10.60 4.09 24.05
H -10.00 5.52 24.63
H -9.89 4.13 25.65
H -8.08 3.60 22.20
H -7.19 5.12 22.72
H -8.96 5.11 22.41
H -6.33 5.56 27.66
H -5.84 5.12 26.10
H -7.29 6.11 26.39
H -9.14 2.95 27.53
H -8.35 4.07 28.66
H -9.31 4.65 27.35
H -8.24 0.09 26.43
H -6.60 0.66 25.89
H -7.40 1.41 27.21
H -8.24 0.99 23.39
H -9.66 2.05 23.81
H -9.52 0.47 24.49
O -15.00 3.08 29.52
C -14.35 3.92 30.08
O -13.10 4.25 29.73
C -12.67 3.65 28.44
C -12.05 2.27 28.69
C -14.69 4.60 31.40
H -11.93 4.29 28.00
H -13.49 3.48 27.76
H -11.33 2.34 29.46
H -11.54 2.07 27.74
H -12.84 1.50 28.92
H -15.79 4.81 31.45
H -14.31 5.62 31.63
H -14.48 3.94 32.30
O -15.32 -4.06 26.00
C -16.08 -3.63 26.82
O -16.48 -4.26 27.92
C -16.09 -5.68 28.06
C -14.63 -5.65 28.62
C -16.67 -2.23 26.73
H -16.16 -6.27 27.17
H -16.72 -6.15 28.77
H -14.28 -6.64 28.78
H -14.66 -5.15 29.63
H -14.07 -5.10 27.89
H -15.94 -1.68 26.17
H -16.94 -1.75 27.67
H -17.65 -2.27 26.21
O -21.81 -3.81 22.44
C -20.87 -4.01 21.73
O -19.89 -3.16 21.39
C -19.93 -1.83 21.92
C -19.33 -1.80 23.33
C -20.51 -5.32 21.09
H -20.95 -1.45 21.74
H -19.29 -1.18 21.28
H -19.87 -2.41 24.07
H -19.33 -0.80 23.73
H -18.33 -2.26 23.24
H -19.95 -5.91 21.83
H -19.83 -5.17 20.24
H -21.49 -5.79 20.85
O -19.43 -0.55 27.15
C -19.65 0.65 27.30
O -19.76 1.28 28.52
C -19.19 0.56 29.65
C -17.72 0.93 29.82
C -20.03 1.56 26.18
H -19.31 -0.48 29.41
H -19.84 0.80 30.51
H -17.75 1.90 30.28
H -17.20 0.87 28.89
H -17.34 0.20 30.58
H -19.25 1.53 25.43
H -20.26 2.52 26.51
H -20.88 1.08 25.72
C -14.25 3.97 24.27
O -13.20 3.99 24.91
N -15.48 4.33 24.74
C -16.62 4.49 23.71
C -15.69 4.70 26.11
H -14.30 3.74 23.25
H -17.51 4.10 24.18
H -16.28 3.86 22.86
H -16.71 5.51 23.42
H -16.19 3.88 26.64
H -14.67 4.81 26.55
H -16.30 5.57 26.12
C -15.95 0.66 23.55
O -17.14 0.81 23.78
N -14.94 0.80 24.43
C -13.55 0.74 24.01
C -15.18 1.28 25.78
H -15.60 0.33 22.53
H -13.03 -0.01 24.58
H -13.06 1.72 24.07
H -13.60 0.33 22.97
H -14.86 0.52 26.53
H -14.46 2.14 25.92
H -16.18 1.56 26.09
```



The following is a quantum chemistry calculation of a 10-piece molecular cluster, C40H100O20 overall, from OMol25.

Computed properties:
Total energy (a.u.): -3088.14182
____________

== Solution ==
The following is a quantum chemistry calculation of a 9-piece molecular cluster, C40H100N11O13P3 overall, from OMol25.

Computed properties:
Total energy (a.u.): -4188.70121
HOMO energy (eV): -8.27
Gap between HOMO and LUMO (eV): 8.8
SMILES string: CN(C)P(=O)(N(C)C)N(C)C.CN(C)P(=O)(N(C)C)N(C)C.CN(C)P(=O)(N(C)C)N(C)C.CCOC(C)=O.CCOC(C)=O.CCOC(C)=O.CCOC(C)=O.CN(C)C=O.CN(C)C=O

Structure (XYZ):
```
167
C40H100N11O13P3, DFT wB97M-V/def2-TZVPD
O -13.77 -0.90 20.57
P -13.23 -2.26 20.85
N -13.51 -2.99 22.33
C -12.58 -2.82 23.46
C -14.88 -3.06 22.73
N -11.56 -2.25 20.70
C -10.88 -3.44 20.39
C -11.00 -0.96 21.14
N -13.94 -3.39 19.84
C -14.10 -2.86 18.44
C -13.94 -4.85 20.02
H -11.81 -3.64 23.49
H -13.16 -2.95 24.42
H -12.13 -1.81 23.50
H -15.19 -2.24 23.49
H -15.01 -4.02 23.32
H -15.51 -3.11 21.86
H -10.85 -4.10 21.31
H -11.39 -4.02 19.65
H -9.86 -3.27 19.98
H -10.45 -1.04 22.10
H -10.45 -0.54 20.28
H -11.81 -0.29 21.34
H -13.26 -3.20 17.79
H -15.07 -3.22 18.00
H -14.02 -1.79 18.41
H -13.93 -4.97 21.11
H -13.18 -5.47 19.48
H -14.90 -5.22 19.57
O -14.93 2.78 20.72
P -13.90 3.14 19.70
N -14.23 4.61 18.92
C -15.45 5.37 19.30
C -13.31 5.15 17.89
N -13.97 1.97 18.49
C -13.10 1.90 17.38
C -15.20 1.24 18.42
N -12.33 3.20 20.19
C -11.77 2.01 20.78
C -11.73 4.40 20.71
H -15.27 6.37 19.77
H -16.00 4.74 19.98
H -16.07 5.64 18.40
H -13.70 4.96 16.87
H -12.40 4.60 17.98
H -13.09 6.25 18.05
H -13.63 2.21 16.43
H -12.26 2.57 17.52
H -12.68 0.89 17.25
H -15.08 0.15 18.47
H -15.79 1.63 19.23
H -15.66 1.46 17.46
H -12.34 1.16 20.56
H -10.71 1.79 20.52
H -11.86 2.12 21.89
H -12.19 5.34 20.40
H -10.59 4.48 20.42
H -11.78 4.29 21.78
O -6.07 3.25 24.58
P -7.40 3.34 25.17
N -8.41 4.22 24.21
C -9.81 4.48 24.67
C -8.13 4.53 22.79
N -7.38 3.96 26.74
C -6.72 5.24 26.71
C -8.54 3.95 27.60
N -8.22 1.95 25.40
C -7.61 0.95 26.22
C -8.96 1.34 24.20
H -10.60 4.09 24.05
H -10.00 5.52 24.63
H -9.89 4.13 25.65
H -8.08 3.60 22.20
H -7.19 5.12 22.72
H -8.96 5.11 22.41
H -6.33 5.56 27.66
H -5.84 5.12 26.10
H -7.29 6.11 26.39
H -9.14 2.95 27.53
H -8.35 4.07 28.66
H -9.31 4.65 27.35
H -8.24 0.09 26.43
H -6.60 0.66 25.89
H -7.40 1.41 27.21
H -8.24 0.99 23.39
H -9.66 2.05 23.81
H -9.52 0.47 24.49
O -15.00 3.08 29.52
C -14.35 3.92 30.08
O -13.10 4.25 29.73
C -12.67 3.65 28.44
C -12.05 2.27 28.69
C -14.69 4.60 31.40
H -11.93 4.29 28.00
H -13.49 3.48 27.76
H -11.33 2.34 29.46
H -11.54 2.07 27.74
H -12.84 1.50 28.92
H -15.79 4.81 31.45
H -14.31 5.62 31.63
H -14.48 3.94 32.30
O -15.32 -4.06 26.00
C -16.08 -3.63 26.82
O -16.48 -4.26 27.92
C -16.09 -5.68 28.06
C -14.63 -5.65 28.62
C -16.67 -2.23 26.73
H -16.16 -6.27 27.17
H -16.72 -6.15 28.77
H -14.28 -6.64 28.78
H -14.66 -5.15 29.63
H -14.07 -5.10 27.89
H -15.94 -1.68 26.17
H -16.94 -1.75 27.67
H -17.65 -2.27 26.21
O -21.81 -3.81 22.44
C -20.87 -4.01 21.73
O -19.89 -3.16 21.39
C -19.93 -1.83 21.92
C -19.33 -1.80 23.33
C -20.51 -5.32 21.09
H -20.95 -1.45 21.74
H -19.29 -1.18 21.28
H -19.87 -2.41 24.07
H -19.33 -0.80 23.73
H -18.33 -2.26 23.24
H -19.95 -5.91 21.83
H -19.83 -5.17 20.24
H -21.49 -5.79 20.85
O -19.43 -0.55 27.15
C -19.65 0.65 27.30
O -19.76 1.28 28.52
C -19.19 0.56 29.65
C -17.72 0.93 29.82
C -20.03 1.56 26.18
H -19.31 -0.48 29.41
H -19.84 0.80 30.51
H -17.75 1.90 30.28
H -17.20 0.87 28.89
H -17.34 0.20 30.58
H -19.25 1.53 25.43
H -20.26 2.52 26.51
H -20.88 1.08 25.72
C -14.25 3.97 24.27
O -13.20 3.99 24.91
N -15.48 4.33 24.74
C -16.62 4.49 23.71
C -15.69 4.70 26.11
H -14.30 3.74 23.25
H -17.51 4.10 24.18
H -16.28 3.86 22.86
H -16.71 5.51 23.42
H -16.19 3.88 26.64
H -14.67 4.81 26.55
H -16.30 5.57 26.12
C -15.95 0.66 23.55
O -17.14 0.81 23.78
N -14.94 0.80 24.43
C -13.55 0.74 24.01
C -15.18 1.28 25.78
H -15.60 0.33 22.53
H -13.03 -0.01 24.58
H -13.06 1.72 24.07
H -13.60 0.33 22.97
H -14.86 0.52 26.53
H -14.46 2.14 25.92
H -16.18 1.56 26.09
```



The following is a quantum chemistry calculation of a 10-piece molecular cluster, C40H100O20 overall, from OMol25.

Computed properties:
Total energy (a.u.): -3088.14182